Sunday 3 December 2017

Is Albion an Angel?

Bruce Charlton's recent piece on whether Albion is a woman got me thinking because I must admit I hadn't been considering things along those lines. Not about whether Albion is male or female but about the degree to which Albion is a person. I know the personification of Albion in Blake's poems but that's, well, Blake! I also know the mythology of a sleeping giant but I had really been thinking of Albion as the hidden spirit of the land, without making that spirit into a person.

But, of course, all countries do traditionally have a masculine or feminine ruling genius. Germany is the Fatherland, India is Mother India, France is definitely feminine, Italy probably masculine. England seems masculine to me too, and I'm not sure about the U.S.A. Since Russia, as Bruce says, is feminine then maybe America is masculine. California is surely feminine, though.

In the same way, the North and the West are masculine while the South and the East are feminine. Sea is feminine, sky is masculine and, while we're at it, earth and water are feminine while air and fire are masculine. So probably everything does have a masculine or feminine polarity. That would make a lot of sense since this polarity goes right back to the primal duality of spirt and matter.

Calculated molecules from another source follow >
┌──
(1)
The following is a quantum chemistry calculation of a single C4H7NO molecule, from the Open Molecules 2025 dataset.

Positions of all 13 atoms, in Å:
C -1.29 0.68 1.65
N -1.08 0.28 0.29
C -0.35 -0.69 0.02
C -0.12 -1.12 -1.40
C 1.07 -0.44 -2.03
O -0.81 -1.94 -1.94
H -2.34 0.53 1.89
H -0.66 0.12 2.36
H -1.08 1.74 1.73
H 0.16 -1.31 0.78
H 1.09 -0.62 -3.10
H 1.04 0.62 -1.82
H 1.98 -0.85 -1.59

As for the HOMO energy: -9.499 eV. As for the SMILES: C/N=C/C(C)=O. The calculation puts the energy above the lowest of the compared OMol25 structures with the same formula, charge and spin at 1.601 eV. The charge is 0. Its largest force on an atom is 0.8 eV Å⁻¹. Its HOMO-LUMO gap is 10.5 eV.

(2)
The following is a quantum chemistry calculation of a molecular structure, C4H7NO, from the Open Molecules 2025 dataset.

Positions of all 13 atoms, in Å:
C 0.96 0.25 1.58
C -1.14 0.41 0.86
C 0.24 0.38 -0.59
C 0.10 -0.79 -1.53
N -0.25 0.31 1.93
O 1.33 0.28 0.29
H 1.77 0.17 2.29
H -1.66 1.35 0.81
H -1.78 -0.46 0.76
H 0.21 1.36 -1.07
H -0.94 -1.03 -1.72
H 0.59 -1.66 -1.10
H 0.57 -0.57 -2.49

As for the HOMO energy: -9.052 eV. The calculation puts the energy above the lowest of the compared OMol25 structures with the same formula, charge and spin at 2.311 eV. The charge is 0. Its largest force on an atom is 3.9 eV Å⁻¹. Its HOMO-LUMO gap is 10.1 eV.

(3)
The following is a quantum chemistry calculation of 2 unconnected molecules or ions with the total composition C4H7NO, from the Open Molecules 2025 dataset.

Positions of all 13 atoms, in Å:
C -1.53 0.13 -1.35
O -1.19 1.40 -0.76
C 0.06 1.62 -0.51
C 1.69 -0.65 1.22
C 0.41 -1.35 1.16
N -0.62 -1.88 1.09
H -0.62 -0.43 -1.55
H -2.09 0.34 -2.26
H -2.16 -0.40 -0.63
H 0.05 2.65 -0.08
H 1.59 0.27 0.62
H 1.94 -0.41 2.25
H 2.48 -1.27 0.79

As for the HOMO energy: -8.880 eV. The calculation puts the energy above the lowest of the compared OMol25 structures with the same formula, charge and spin at 4.143 eV. The charge is 0. Its largest force on an atom is 1.1 eV Å⁻¹. Its HOMO-LUMO gap is 9.5 eV.

(4)
The following is a quantum chemistry calculation of a molecular structure, C4H7NO, from the Open Molecules 2025 dataset.

Positions of all 13 atoms, in Å:
C 0.23 1.76 -0.58
N 0.20 0.75 -1.62
C -0.80 0.66 -0.55
C -0.54 -0.11 0.70
C 0.14 -1.96 0.96
O 0.69 -0.68 0.59
H 1.03 1.73 0.16
H -0.08 2.76 -0.88
H 0.94 0.08 -1.42
H -1.82 0.93 -0.83
H -0.88 -1.13 1.55
H 0.72 -2.35 1.79
H 0.19 -2.61 0.07

As for the HOMO energy: -8.028 eV. The calculation puts the energy above the lowest of the compared OMol25 structures with the same formula, charge and spin at 7.208 eV. The charge is 0. Its largest force on an atom is 1.8 eV Å⁻¹. Its HOMO-LUMO gap is 8.5 eV.

(5)
The following is a quantum chemistry calculation of a single C4H7NO molecule, from the Open Molecules 2025 dataset.

Positions of all 13 atoms, in Å:
H -2.55 -2.03 0.20
N -2.51 -1.09 -0.21
C -1.41 -0.49 0.00
C -0.83 0.86 -0.36
C 0.48 0.39 0.42
C 1.88 0.02 -0.12
O -0.28 -0.87 0.68
└──
Back to the text >

But is Albion a woman? I don't know. Bruce points out that Britannia is female and also that the two  monarchs at the time of England's/Britain's greatest moments of creativity and power were queens. These could certainly be good indicators of a strong female characteristic of the country but personally I'm not entirely convinced. English and British achievements, to do with law, exploration, empire, expansion and so on, do seem masculine to me but maybe that's England/Great Britain, and Albion is a different matter. Albion is certainly strongly associated with the land, and the land as ground or earth is traditionally a feminine thing.

So I'm reserving judgment on this question. However one idea I am strongly drawn to is that Albion is an angel. I think that all countries have their guardian angels. Indeed it is likely that all animal species have an angel. Angels are everywhere. They are the means through which God works.  

To my mind, the best depiction of angels is that of C.S. Lewis in his space trilogy in which the angels are the guardians or even spiritual embodiment of the planets.  These angels, like the Christian ones, don't have bodies as such because they are not made of matter. They are pure spirits but they can create an appearance of themselves in a person's mind, and Lewis's description of this is very striking. Here's what he says about an angel's face in Perelandra.

"One single changeless expression - so clear that it hurt and dazzled him- was stamped on each and there was nothing else there at all. In that sense their faces were as primitive, as unnatural, if you like, as those of archaic statues from Aegina. Pure, spiritual intellectual love shot from their faces like barbed lightning. It was so unlike the love we experience that its expression could easily be mistaken for ferocity"

If Albion is, as I think, an angel then Albion is not a woman. Angels have no bodies so no biological gender so they are not male or female. However angels are not neuter, nothing is. Lewis's angels are masculine or feminine and, of course, St Michael and St Gabriel are masculine too. Therefore Albion could very well be feminine, as Bruce speculates.


Bruce Charlton said...

William - Glad to have stimulated thought and speculation!

Angel, yes - but I recognise more than one type. The two main would be: pre-mortal Men, as spirits who work as angels; and post-mortal incarnated Men, likewise. So, some angels are incarnates - probably most are spirits. I would guess that angels of nations may be incarnates, who have dwelt in their nations - but it's just a guess.

William Wildblood said...

There we differ, Bruce. I would follow the more conventional Christian belief that angels are a separate creation to Man. Actually I think most religions would go along with that. The best book I've read on the subject (admittedly from a list of one!) is Angels (and Demons) by Peter Kreeft.

Bruce Charlton said...

@William - "the more conventional Christian belief that angels are a separate creation to Man" - This is indeed usual among mainstream Christian theologians at least since the time of Dionysius the Aeropagite. However, the laity often refer to post-mortal angels - in the idea that some people (eg. children who die) may become angels - so it is not outlandish!

As for the idea of incarnate, embodied angels - this comes from a literal interpretation of the Biblical passages when angels appear to be exactly as mortal Men, indistinguishable. Those who assume that angels must be immaterial interpret this to be an illusion of the spirit (pretending to have a body, as it were; perhaps as a disguise) - but that interpretation seems to derive from the prior assumption that angels *must* be immaterial.

As you personally believe in reincarnation - which has this similarity with my Mormon-derived theology that Men can exist as immaterial spirits - you might also decide or discover that such beings could 'work' as angels, perhaps temporarily...

But anyway - we both agree that it is a potentially very inspiring and encouraging idea that Albion is indeed an actual angelic being - and not merely a symbol!